Welcome, Dear Scholar

 I am honored to join you on your journey. The services offered here are intended to help graduate students navigate the mental-emotional-spiritual challenges of entering the institution of academia. Mentoring topics have been designed centered on the needs and experiences of those who identify as "other" and work from the margins in academia--broadly understood. I believe that academia's greatest potential is in the holistic success of people bearing silenced perspectives, so that they may work with love and purpose for themselves and the world.

I suggest you start with a complimentary "Hello" Session or my "Higher Learning with Higher Love" course. This is a self-guided online course which will give you a way to work through my core mentoring topics at your own pace.

Of course, feel free to contact me with any questions you have.

Hello, I'm Shelley Tuazon Guyton, phd

I am an early-career academic working in the areas of anthropology, disaster studies and Southeast Asian studies. In my 10 years in higher education, I have come to know that the institution was not designed for all. For those who's specific needs are not met in Higher education institutions, learning can be a violent experience to our hearts, psyches, spirits and bodies. I have been socialized into academia, and still operate within academia from a position in the margins. For this reason, I ideated around how to mentor students coming up through the system after me.


We learn the institutional expectations of standardized education--that we must aim to match a standard of replicating institutionally accepted knowledge. We are conditioned to hide knowledge, thoughts, opinions that do not apply to standardized knowledge. Suddenly, as graduate students, the expectations change. We are expected to share our unique thoughts. There is no guidance to transition us into this. In this topic, we work on learning how to liberate those unique truths we've learned to lock away.

Heal the Hustle

_Records of crystals, kept here for reference_
********
Compound: Dy3CuGeS7
Source: the Materials Project database
Functional: PBE
Structure: optimized geometry

- ΔH_f (0 K): -1725 meV per atom
- Total magnetization: 0.0 μB per cell
- Crystal system: hexagonal

Unit cell a=9.884 b=9.884 c=5.815 alpha=90.00 beta=90.00 gamma=120.00
Atoms (fractional coordinates):
Dy  0.643  0.869  0.754
S  0.902  0.482  0.999
Ge  0.333  0.667  0.336
Dy  0.131  0.774  0.754
S  0.420  0.902  0.499
S  0.161  0.259  0.217
S  0.098  0.518  0.499
Dy  0.357  0.131  0.254
S  0.259  0.098  0.717
S  0.518  0.420  0.999
Cu  0.000  0.000  0.696
S  0.741  0.902  0.217
S  0.667  0.333  0.457
S  0.098  0.839  0.217
Dy  0.774  0.643  0.254
Cu  0.000  0.000  0.196
S  0.902  0.161  0.717
S  0.482  0.580  0.499
S  0.839  0.741  0.717
Dy  0.869  0.226  0.254
S  0.580  0.098  0.999
Dy  0.226  0.357  0.754
S  0.333  0.667  0.957
Ge  0.667  0.333  0.836

***

Compound: Dy2In3Cu
Source: the Materials Project database
Functional: PBE
Structure: optimized geometry

- Distance to the lowest polymorph of the same formula: 599 meV/atom
- ΔH_f (0 K): 203 meV per atom
- Total magnetization: 0.0 μB per cell
- Crystal system: orthorhombic

Unit cell a=3.383 b=5.336 c=9.360 alpha=89.97 beta=90.00 gamma=90.00
Atoms (fractional coordinates):
Dy  0.500  0.500  0.489
Dy  0.500  0.000  0.016
Cu  0.500  0.000  0.332
In  0.500  0.500  0.174
In  0.500  0.000  0.659
In  0.500  0.500  0.830

***

Compound: Dy2In3Cu
Source: the Materials Project database
Functional: PBE
Structure: optimized geometry

- Distance to the lowest polymorph of the same formula: 0 meV/atom
- ΔH_f (0 K): -396 meV per atom
- Total magnetization: 0.0 μB per cell
- Crystal system: trigonal

Unit cell a=4.716 b=4.716 c=7.450 alpha=90.00 beta=90.00 gamma=120.00
Atoms (fractional coordinates):
Dy  0.000  0.000  0.737
Dy  0.000  0.000  0.277
In  0.333  0.667  0.516
Cu  0.667  0.333  0.455
In  0.667  0.333  0.067
In  0.333  0.667  0.948

***

Compound: DyInCu4
Source: the Materials Project database
Functional: PBE
Structure: optimized geometry

- ΔH_f (0 K): -276 meV per atom
- Crystal system: cubic

Unit cell a=5.118 b=5.118 c=5.118 alpha=60.00 beta=60.00 gamma=60.00
Atoms (fractional coordinates):
Dy  0.000  0.000  0.000
Cu  0.625  0.625  0.625
Cu  0.625  0.126  0.625
Cu  0.625  0.625  0.126
Cu  0.126  0.625  0.625
In  0.250  0.250  0.250

***

Compound: DyIn3Cu2
Source: the Materials Project database
Functional: PBE
Structure: optimized geometry

- ΔH_f (0 K): -89 meV per atom
- Total magnetization: 0.0 μB per cell
- Crystal system: hexagonal

Unit cell a=5.824 b=5.824 c=4.258 alpha=90.00 beta=90.00 gamma=120.00
Atoms (fractional coordinates):
In  0.000  0.500  0.500
Cu  0.667  0.333  0.000
In  0.500  0.000  0.500
In  0.500  0.500  0.500
Dy  0.000  0.000  0.000
Cu  0.333  0.667  0.000

***

Compound: Dy2CuIr
Source: the Materials Project database
Functional: PBE
Structure: optimized geometry

- ΔH_f (0 K): -601 meV per atom
- Total magnetization: 0.0 μB per cell
- Crystal system: cubic
********

As academics, we are trained over a lifetime of schooling into the pressure to do more, to be better than, and to exceed expectations. As a result, we often feel that we are not doing enough, and so work harder and longer, believing that to be our recipe for success...for survival. I believe that our personal manifestations of hustle are rooted in wounds around (but not limited to) our experiences in learning institutions. In this topic, we work on turning toward healing rather than hustling.

Inner Alignment

== Between two parts of the text: materials data ==
____________
Entry from the Materials Project database: an optimized crystal structure of Li4Mn2Fe3Sb3O16 (GGA+U).

Unit cell a=6.1549 b=6.1549 c=9.9249 alpha=89.98 beta=89.98 gamma=60.15
Sites, in units of the cell vectors:
Fe  0.6645  0.1644  0.2861
Li  0.6614  0.6614  0.1188
O  0.8488  0.3127  0.3939
Li  0.9903  0.9903  0.0055
Li  0.9943  0.9943  0.4981
O  0.3296  0.3296  0.3952
O  0.3127  0.8488  0.3939
O  0.6583  0.6583  0.9010
O  0.1733  0.6881  0.8969
O  0.0024  0.0024  0.1851
O  0.1604  0.1604  0.9016
O  0.4758  0.4758  0.1622
Li  0.3253  0.3253  0.6038
Mn  0.3458  0.3458  0.0171
O  0.0319  0.4782  0.1659
O  0.9702  0.5024  0.6700
Sb  0.8328  0.3409  0.7855
O  0.5141  0.5141  0.6682
O  0.8437  0.8437  0.3931
Mn  0.6745  0.6745  0.4981
Sb  0.3409  0.8328  0.7855
O  0.4782  0.0319  0.1659
Fe  0.1644  0.6645  0.2861
O  0.0111  0.0111  0.6814
Sb  0.1687  0.1687  0.2836
O  0.5024  0.9702  0.6700
Fe  0.8335  0.8335  0.7837
O  0.6881  0.1733  0.8969

Output
Its energy relative to the elements is -54.7 eV per formula unit. Its mass density is 4.7 g/cm³.

***

Entry from the Materials Project database: an optimized crystal structure of CuMo2O7 (GGA+U).

Unit cell a=9.2492 b=11.6383 c=10.6294 alpha=92.99 beta=90.00 gamma=90.00
Sites, in units of the cell vectors:
Mo  0.7930  0.8408  0.7083
O  0.2875  0.5143  0.1245
Mo  0.2070  0.8408  0.2083
O  0.9285  0.2413  0.7147
O  0.7125  0.4857  0.8755
O  0.7898  0.1659  0.2144
O  0.0825  0.1519  0.9673
O  0.5706  0.4526  0.1243
Cu  0.9328  0.1943  0.0883
O  0.3369  0.3095  0.9367
O  0.9175  0.1519  0.4673
O  0.6407  0.9452  0.0902
Mo  0.2478  0.8322  0.6199
O  0.7900  0.1942  0.9585
Mo  0.2941  0.4691  0.9601
Mo  0.2070  0.1592  0.2917
O  0.5706  0.5474  0.3757
Cu  0.0672  0.1943  0.5883
Cu  0.0672  0.8057  0.9117
O  0.4294  0.5474  0.8757
O  0.3593  0.9452  0.5902
O  0.9285  0.7587  0.7853
O  0.0715  0.7587  0.2853
O  0.3369  0.6905  0.5633
Mo  0.7059  0.4691  0.4601
O  0.8726  0.5033  0.1022
O  0.2100  0.8058  0.0415
Mo  0.2941  0.5309  0.5399
O  0.1700  0.0000  0.2500
O  0.3593  0.0548  0.9098
O  0.8300  0.0000  0.7500
Cu  0.9328  0.8057  0.4117
O  0.7125  0.5143  0.6245
O  0.7898  0.8341  0.2856
O  0.9175  0.8481  0.0327
O  0.8726  0.4967  0.3978
Cu  0.4315  0.5000  0.2500
O  0.7900  0.8058  0.5415
O  0.2102  0.8341  0.7856
Mo  0.7059  0.5309  0.0399
O  0.2100  0.1942  0.4585
Mo  0.2478  0.1678  0.8801
O  0.6631  0.6905  0.0633
Mo  0.7522  0.1678  0.3801
Cu  0.5685  0.5000  0.7500
O  0.0825  0.8481  0.5327
Mo  0.7930  0.1592  0.7917
O  0.1274  0.5033  0.6022
O  0.2875  0.4857  0.3755
O  0.3726  0.1974  0.2335
O  0.6407  0.0548  0.4098
O  0.6631  0.3095  0.4367
O  0.4294  0.4526  0.6243
O  0.3726  0.8026  0.2665
O  0.2102  0.1659  0.7144
Mo  0.7522  0.8322  0.1199
O  0.6274  0.1974  0.7335
O  0.0715  0.2413  0.2147
O  0.1274  0.4967  0.8978
O  0.6274  0.8026  0.7665

Output
Its energy relative to the elements is -16.5 eV per formula unit. Its mass density is 3.2 g/cm³.

***
____________
== The materials data stop here ==

Many of us enter academia as part of our pursuit toward fulfilling a higher purpose oriented toward our personal commitments. However, there is little formal space made in the university to acknowledge and work with our personal values and beliefs. As a graduate student, I navigated many points of dissonance between what I was told I should be doing to succeed in this world, and what I felt I should be doing to stay true to my more ethereal intentions for becoming an academic. In this topic, we work on aligning to and staying true to your internal compass.

Higher Learning with Higher Love Curriculum

Available in days
days after you enroll
  Unlock 🔓
Available in days
days after you enroll
  Heal the Hustle ❤️‍🩹
Available in days
days after you enroll
  Inner Alignment ✨
Available in days
days after you enroll
  Concluding Thoughts
Available in days
days after you enroll
